Exercise.
The reader should return the notes underneath with every line break kept.

Source.
********
9
Properties=species:S:1:pos:R:3:forces:R:3:mulliken_charge:R:1 method="wB97M-V/def2-TZVPD" e_above_lowest_kj_mol=204.5 total_charge=+1 homo_lumo_gap_ev=9.7 multiplicity=1
O 1.221 0.111 -0.222 0.725 -0.907 1.843 -0.158
O 1.374 0.918 -2.364 -0.213 -0.394 -0.002 -0.101
C 0.193 -0.108 0.787 -3.060 1.000 -1.057 -0.557
I -0.518 1.658 1.716 -0.028 0.460 -0.221 0.339
C 1.201 0.464 -1.344 -0.154 1.450 -2.691 0.806
H 0.719 -0.500 1.577 1.004 -1.889 1.369 0.423
H -1.783 -1.071 0.786 -2.711 -1.366 2.911 0.533
C -1.118 -0.738 0.117 3.773 1.288 -1.197 0.087
O -1.289 -0.734 -1.052 0.663 0.357 -0.956 -0.372

***

33
Properties=species:S:1:pos:R:3:forces:R:3:mulliken_charge:R:1 method="wB97M-V/def2-TZVPD" total_charge=+2 homo_lumo_gap_ev=6.8 multiplicity=1
C -0.571 -5.009 -0.900 1.645 -0.055 -0.790 -0.607
H -2.201 -5.777 2.318 -0.680 0.508 -0.048 0.375
C -0.119 1.858 -1.138 1.487 1.419 2.223 -0.728
H 1.121 1.698 2.174 -0.042 0.850 -0.981 0.439
H 1.959 4.042 1.487 -0.753 -0.318 -1.141 0.352
C -0.348 -0.149 0.475 0.166 -2.350 1.139 0.627
H -2.389 -0.050 -0.486 0.614 -0.736 0.569 0.455
H 0.608 6.279 -1.758 -0.127 -0.764 0.897 0.181
N -1.103 -2.956 0.987 0.266 2.630 -0.114 0.032
P 1.663 5.620 -1.034 2.816 1.830 -2.399 0.156
C 0.912 2.117 1.159 -0.642 0.316 -2.321 -0.561
O -2.380 -4.818 2.184 2.066 0.668 -1.012 -0.410
H 1.906 6.419 0.135 -0.720 -1.255 0.068 0.162
C 0.388 3.201 -1.429 -0.793 -2.103 0.103 -0.173
C 0.154 1.281 0.211 0.026 1.886 -1.597 0.631
H 0.843 -3.148 1.967 -1.106 0.389 -0.636 0.431
N 1.100 3.974 -0.526 -1.432 -2.246 1.631 0.137
C 0.559 -1.088 1.200 -2.666 -0.513 -1.001 -0.709
H -0.515 -5.903 -1.587 -0.440 0.861 1.030 0.280
H -0.692 1.269 -1.899 0.758 0.870 0.722 0.405
N 2.981 5.464 -1.886 -1.792 0.313 0.593 -0.562
O -0.810 -5.421 0.476 -1.296 2.361 0.201 -0.378
H 0.197 3.592 -2.459 0.377 -0.021 1.169 0.368
C -1.979 -2.098 0.336 0.987 1.997 -0.256 -0.142
H -2.964 -2.499 -0.009 1.075 0.241 0.520 0.455
H 1.550 -0.703 1.539 -0.946 -0.787 -0.240 0.443
H 0.470 -4.559 -0.930 -1.234 -0.252 -0.157 0.249
B -1.460 -4.426 1.229 -0.285 -3.320 0.263 0.635
C 1.357 3.457 0.739 -0.569 -2.066 0.538 -0.159
C -1.651 -0.689 0.049 1.600 -1.347 1.054 -0.669
H 2.836 5.863 -2.823 0.326 -0.451 0.293 0.279
H -1.332 -4.271 -1.274 0.683 -0.859 0.280 0.259
C 0.125 -2.475 1.430 0.634 2.303 -0.601 -0.255

***

117
Properties=species:S:1:pos:R:3:forces:R:3:mulliken_charge:R:1 method="wB97M-V/def2-TZVPD" total_charge=+1 homo_lumo_gap_ev=5.8 multiplicity=1
H 4.399 -1.101 -6.809 -0.003 0.123 0.021 0.396
H 4.540 8.229 1.182 -0.165 -0.042 0.050 0.280
C -7.166 1.893 3.586 -0.249 -0.234 0.229 -0.122
H -3.904 2.866 0.641 -0.359 -1.122 -0.055 0.392
H 0.723 1.496 -6.495 -0.099 -0.149 0.080 0.297
H 8.096 -7.726 -0.566 0.102 0.014 0.070 0.331
H 1.651 -1.184 0.390 -0.348 0.482 1.131 0.408
N -2.067 -1.456 1.641 1.742 2.366 0.642 -0.253
H 5.140 -2.285 -4.838 -0.133 -0.127 0.044 0.265
O 6.047 -2.722 0.335 -1.333 1.512 0.604 -0.384
H -11.634 3.119 1.471 0.024 0.063 0.018 0.338
H 0.754 -2.959 -4.112 -0.055 0.062 0.090 0.267
C -3.142 -0.570 1.176 -3.430 1.242 -1.237 0.379
C 0.386 -0.757 2.224 -1.008 0.184 -0.618 -0.988
H 3.030 -3.502 -3.533 0.276 -0.174 0.006 0.284
H 1.281 -4.763 -1.689 0.125 -0.004 -0.015 0.103
H -6.334 2.437 3.135 -0.095 -0.087 -0.172 0.277
H 2.284 -1.779 1.945 0.131 1.429 -0.353 0.373
H 1.369 -7.398 -0.232 -0.019 -0.066 -0.042 0.265
N 4.606 -0.881 1.926 0.359 1.865 -1.318 -0.271
C 1.543 -3.940 -2.357 0.198 0.066 -0.481 0.442
C -4.097 1.765 0.648 -0.003 -2.235 0.050 -0.692
H 6.052 6.658 -0.060 -0.026 -0.054 -0.029 0.365
H 4.801 6.746 2.117 0.164 0.122 -0.010 0.255
H 0.243 0.258 2.692 0.175 -0.944 -0.371 0.286
C -3.044 0.893 1.143 -0.746 -0.906 -0.334 0.289
H -12.573 2.488 3.716 -0.060 -0.106 -0.147 0.305
C -4.413 -1.140 0.709 0.099 1.604 -0.033 -0.554
O -7.829 1.167 2.558 0.010 0.031 -0.288 -0.493
H -8.567 0.697 2.964 0.066 0.118 -0.016 0.255
H -5.972 0.213 4.221 0.023 0.094 -0.032 0.223
H 2.805 5.989 1.253 -0.036 0.136 -0.024 0.205
********

Solution.
9
Properties=species:S:1:pos:R:3:forces:R:3:mulliken_charge:R:1 method="wB97M-V/def2-TZVPD" e_above_lowest_kj_mol=204.5 total_charge=+1 homo_lumo_gap_ev=9.7 multiplicity=1
O 1.221 0.111 -0.222 0.725 -0.907 1.843 -0.158
O 1.374 0.918 -2.364 -0.213 -0.394 -0.002 -0.101
C 0.193 -0.108 0.787 -3.060 1.000 -1.057 -0.557
I -0.518 1.658 1.716 -0.028 0.460 -0.221 0.339
C 1.201 0.464 -1.344 -0.154 1.450 -2.691 0.806
H 0.719 -0.500 1.577 1.004 -1.889 1.369 0.423
H -1.783 -1.071 0.786 -2.711 -1.366 2.911 0.533
C -1.118 -0.738 0.117 3.773 1.288 -1.197 0.087
O -1.289 -0.734 -1.052 0.663 0.357 -0.956 -0.372

***

33
Properties=species:S:1:pos:R:3:forces:R:3:mulliken_charge:R:1 method="wB97M-V/def2-TZVPD" total_charge=+2 homo_lumo_gap_ev=6.8 multiplicity=1
C -0.571 -5.009 -0.900 1.645 -0.055 -0.790 -0.607
H -2.201 -5.777 2.318 -0.680 0.508 -0.048 0.375
C -0.119 1.858 -1.138 1.487 1.419 2.223 -0.728
H 1.121 1.698 2.174 -0.042 0.850 -0.981 0.439
H 1.959 4.042 1.487 -0.753 -0.318 -1.141 0.352
C -0.348 -0.149 0.475 0.166 -2.350 1.139 0.627
H -2.389 -0.050 -0.486 0.614 -0.736 0.569 0.455
H 0.608 6.279 -1.758 -0.127 -0.764 0.897 0.181
N -1.103 -2.956 0.987 0.266 2.630 -0.114 0.032
P 1.663 5.620 -1.034 2.816 1.830 -2.399 0.156
C 0.912 2.117 1.159 -0.642 0.316 -2.321 -0.561
O -2.380 -4.818 2.184 2.066 0.668 -1.012 -0.410
H 1.906 6.419 0.135 -0.720 -1.255 0.068 0.162
C 0.388 3.201 -1.429 -0.793 -2.103 0.103 -0.173
C 0.154 1.281 0.211 0.026 1.886 -1.597 0.631
H 0.843 -3.148 1.967 -1.106 0.389 -0.636 0.431
N 1.100 3.974 -0.526 -1.432 -2.246 1.631 0.137
C 0.559 -1.088 1.200 -2.666 -0.513 -1.001 -0.709
H -0.515 -5.903 -1.587 -0.440 0.861 1.030 0.280
H -0.692 1.269 -1.899 0.758 0.870 0.722 0.405
N 2.981 5.464 -1.886 -1.792 0.313 0.593 -0.562
O -0.810 -5.421 0.476 -1.296 2.361 0.201 -0.378
H 0.197 3.592 -2.459 0.377 -0.021 1.169 0.368
C -1.979 -2.098 0.336 0.987 1.997 -0.256 -0.142
H -2.964 -2.499 -0.009 1.075 0.241 0.520 0.455
H 1.550 -0.703 1.539 -0.946 -0.787 -0.240 0.443
H 0.470 -4.559 -0.930 -1.234 -0.252 -0.157 0.249
B -1.460 -4.426 1.229 -0.285 -3.320 0.263 0.635
C 1.357 3.457 0.739 -0.569 -2.066 0.538 -0.159
C -1.651 -0.689 0.049 1.600 -1.347 1.054 -0.669
H 2.836 5.863 -2.823 0.326 -0.451 0.293 0.279
H -1.332 -4.271 -1.274 0.683 -0.859 0.280 0.259
C 0.125 -2.475 1.430 0.634 2.303 -0.601 -0.255

***

117
Properties=species:S:1:pos:R:3:forces:R:3:mulliken_charge:R:1 method="wB97M-V/def2-TZVPD" total_charge=+1 homo_lumo_gap_ev=5.8 multiplicity=1
H 4.399 -1.101 -6.809 -0.003 0.123 0.021 0.396
H 4.540 8.229 1.182 -0.165 -0.042 0.050 0.280
C -7.166 1.893 3.586 -0.249 -0.234 0.229 -0.122
H -3.904 2.866 0.641 -0.359 -1.122 -0.055 0.392
H 0.723 1.496 -6.495 -0.099 -0.149 0.080 0.297
H 8.096 -7.726 -0.566 0.102 0.014 0.070 0.331
H 1.651 -1.184 0.390 -0.348 0.482 1.131 0.408
N -2.067 -1.456 1.641 1.742 2.366 0.642 -0.253
H 5.140 -2.285 -4.838 -0.133 -0.127 0.044 0.265
O 6.047 -2.722 0.335 -1.333 1.512 0.604 -0.384
H -11.634 3.119 1.471 0.024 0.063 0.018 0.338
H 0.754 -2.959 -4.112 -0.055 0.062 0.090 0.267
C -3.142 -0.570 1.176 -3.430 1.242 -1.237 0.379
C 0.386 -0.757 2.224 -1.008 0.184 -0.618 -0.988
H 3.030 -3.502 -3.533 0.276 -0.174 0.006 0.284
H 1.281 -4.763 -1.689 0.125 -0.004 -0.015 0.103
H -6.334 2.437 3.135 -0.095 -0.087 -0.172 0.277
H 2.284 -1.779 1.945 0.131 1.429 -0.353 0.373
H 1.369 -7.398 -0.232 -0.019 -0.066 -0.042 0.265
N 4.606 -0.881 1.926 0.359 1.865 -1.318 -0.271
C 1.543 -3.940 -2.357 0.198 0.066 -0.481 0.442
C -4.097 1.765 0.648 -0.003 -2.235 0.050 -0.692
H 6.052 6.658 -0.060 -0.026 -0.054 -0.029 0.365
H 4.801 6.746 2.117 0.164 0.122 -0.010 0.255
H 0.243 0.258 2.692 0.175 -0.944 -0.371 0.286
C -3.044 0.893 1.143 -0.746 -0.906 -0.334 0.289
H -12.573 2.488 3.716 -0.060 -0.106 -0.147 0.305
C -4.413 -1.140 0.709 0.099 1.604 -0.033 -0.554
O -7.829 1.167 2.558 0.010 0.031 -0.288 -0.493
H -8.567 0.697 2.964 0.066 0.118 -0.016 0.255
H -5.972 0.213 4.221 0.023 0.094 -0.032 0.223
H 2.805 5.989 1.253 -0.036 0.136 -0.024 0.205